Write out every line below that contains the word "on".
____________
(1)
VASP calculation (PBE-GGA) on an optimized crystal structure of Li2Sn5P4O16.

a b c (Å): 5.1791 9.6562 9.7239
angles (deg): 115.57 101.97 99.88
With the nearest neighbours (Å) after each atom.
Space group P-1 (No. 2)
Unique sites:
Li  0.1331  0.1757  0.2543  3 O 1.86-2.00
Sn  0.2714  0.5472  0.7687  3 O 2.20-2.35
Sn  0.4753  0.1946  0.6675  2 O 2.16-2.26
Sn  0.5000  0.0000  0.0000  6 O 2.46-2.70
P  0.0540  0.2248  0.9496  4 O 1.54-1.59
P  0.2837  0.7502  0.5625  4 O 1.52-1.60
O  0.0095  0.2601  0.4312  1 P 1.52
O  0.0832  0.0526  0.8838  1 P 1.55
O  0.1066  0.7541  0.9228  1 P 1.59
O  0.1077  0.7501  0.1862  1 P 1.55
O  0.2989  0.6168  0.4047  1 P 1.55
O  0.3413  0.3514  0.0317  1 P 1.54
O  0.4397  0.9109  0.5695  1 P 1.59
O  0.4644  0.7504  0.7175  1 P 1.60

Values from the calculation:
M_tot ... 0.0 μB/cell
Calculated volume ... 15.182 Å³/atom
Energy of formation from the pure elements ... -2320 meV per atom
MP2020-corrected energy ... -187.3 eV for the cell shown

=====

(2)
VASP calculation (PBE-GGA) on an optimized crystal structure of Tb6Ga21Co7.

a b c (Å): 16.6923 16.6923 4.1443
angles (deg): 90.00 90.00 90.00
With the nearest neighbours (Å) after each atom.
Space group P4/mbm (No. 127)
Unique sites:
Tb  0.0868  0.1578  0.0000  11 Ga 2.92-3.19, 1 Co 3.01
Tb  0.1073  0.6073  0.5000  12 Ga 3.08-3.27, 6 Co 3.24-3.35
Ga  0.0000  0.5000  0.0000  4 Co 2.54, 4 Ga 2.72
Ga  0.0317  0.8916  0.5000  3 Ga 2.67-2.99, 2 Co 2.80, 4 Tb 2.98
Ga  0.0428  0.2726  0.5000  2 Co 2.47, 1 Ga 2.61
Ga  0.0745  0.4255  0.5000  4 Co 2.49, 4 Ga 2.61-2.72
Ga  0.0754  0.7416  0.0000  2 Co 2.42-2.43
Ga  0.1784  0.7894  0.5000  2 Co 2.48, 1 Ga 2.62
Ga  0.1795  0.3205  0.0000  3 Co 2.40-2.45
Co  0.0000  0.0000  0.0000  8 Ga 2.80, 4 Tb 3.01
Co  0.0360  0.3524  0.0000  7 Ga 2.43-2.54, 1 Co 2.63
Co  0.2189  0.7189  0.0000  7 Ga 2.40-2.48

Values from the calculation:
M_tot ... 3.9 μB/cell
Calculated volume ... 16.981 Å³/atom
Energy of formation from the pure elements ... -485 meV per atom

=====

(3)
VASP calculation (PBE-GGA) on an optimized crystal structure of UMo13P9.

a b c (Å): 10.8837 10.8837 3.3151
angles (deg): 90.00 90.00 120.00
With the nearest neighbours (Å) after each atom.
Space group P-6m2 (No. 187)
Unique sites:
U  0.0000  0.0000  0.0000  6 P 2.91, 6 Mo 3.12
Mo  0.0541  0.3823  0.0000  5 P 2.42-2.71
Mo  0.2807  0.1403  0.5000  4 P 2.41-2.53
Mo  0.3333  0.6667  0.0000  6 P 2.47
Mo  0.5742  0.1485  0.5000  5 P 2.46-2.72
P  0.1272  0.2543  0.5000  6 Mo 2.53
P  0.1396  0.5698  0.5000  7 Mo 2.42-2.72
P  0.4656  0.2328  0.0000  6 Mo 2.41-2.46

Values from the calculation:
M_tot ... 0.0 μB/cell
Calculated volume ... 14.786 Å³/atom
Energy of formation from the pure elements ... -547 meV per atom

=====

(4)
VASP calculation (PBE-GGA) on an optimized crystal structure of K4MgTi2S6.

a b c (Å): 6.6464 6.7405 7.7388
angles (deg): 86.98 74.31 82.04
With the nearest neighbours (Å) after each atom.
Space group P1 (No. 1)
Unique sites:
K  0.0000  0.0000  0.0000  4 S 2.98-3.25
K  0.0655  0.3006  0.4782  4 S 3.07-3.36, 1 Mg 3.27
K  0.4598  0.4511  0.6791  5 S 3.10-3.41, 1 Mg 3.42, 1 K 3.43
K  0.6975  0.8745  0.6676  5 S 3.17-3.49, 1 K 3.43
Mg  0.0831  0.4960  0.0797  4 S 2.45-2.47
Ti  0.4602  0.8885  0.2751  3 S 2.26-2.45
Ti  0.5997  0.4530  0.1351  5 S 2.37-2.56
S  0.2205  0.8471  0.5396  1 Ti 2.26
S  0.3574  0.2106  0.0850  1 Mg 2.47, 2 Ti 2.56-2.67
S  0.3646  0.7104  0.0468  2 Ti 2.37-2.45, 1 Mg 2.47
S  0.6374  0.1740  0.3503  2 Ti 2.48-2.56
S  0.7652  0.6522  0.3012  2 Ti 2.45, 1 Mg 2.47
S  0.8826  0.4376  0.8685  1 Ti 2.38, 1 Mg 2.45

Values from the calculation:
M_tot ... 0.0 μB/cell
Calculated volume ... 25.425 Å³/atom
Energy of formation from the pure elements ... -1444 meV per atom
Energy above the most stable polymorph in this dataset ... 0.0 kJ/mol of atoms
MP2020-corrected energy ... -65.4 eV for the cell shown

=====

(5)
VASP calculation (PBE-GGA) on an optimized crystal structure of Ca3SbP.

a b c (Å): 5.7363 5.7363 5.7363
____________
VASP calculation (PBE-GGA) on an optimized crystal structure of Li2Sn5P4O16.
VASP calculation (PBE-GGA) on an optimized crystal structure of Tb6Ga21Co7.
VASP calculation (PBE-GGA) on an optimized crystal structure of UMo13P9.
VASP calculation (PBE-GGA) on an optimized crystal structure of K4MgTi2S6.
VASP calculation (PBE-GGA) on an optimized crystal structure of Ca3SbP.